........
Arrangement w

First-principles (PBE) data for a relaxed Na4MgTi2Ge2O10 crystal, as listed in the Materials Project.

abc: 5.5934 6.9084 6.8396
angles: 90.00 91.15 90.00
Element x y z (fractional)
Na1 0.0000 0.1778 0.0000
Na2 0.0000 0.8222 0.0000
Na3 0.9030 0.2314 0.5077
Na4 0.9030 0.7686 0.5077
Mg1 0.7389 0.5000 0.0797
Ti1 0.2811 0.5000 0.7613
Ti2 0.5528 0.0000 0.2170
Ge1 0.3215 0.5000 0.2631
Ge2 0.4317 0.0000 0.7262
O1 0.0987 0.5000 0.0067
O2 0.1495 0.5000 0.4825
O3 0.2343 0.2082 0.7355
O4 0.2343 0.7918 0.7355
O5 0.2382 0.0000 0.2048
O6 0.5866 0.5000 0.8102
O7 0.6066 0.0000 0.5149
O8 0.6422 0.0000 0.9207
O9 0.6992 0.2508 0.2162
O10 0.6992 0.7492 0.2162

- total moment (μB/cell) = 0.000
- calculated volume (Å³ per cell) = 264.24
- theoretical density (g/cm3) = 3.3

***

Arrangement x

First-principles (PBE) data for a relaxed Na4MgTi2Ge2O10 crystal, as listed in the Materials Project.

abc: 6.8789 6.8789 5.4851
angles: 90.00 90.00 90.00
Element x y z (fractional)
Na1 0.2169 0.2169 0.0000
Na2 0.2169 0.7831 0.0000
Na3 0.7831 0.2169 0.0000
Na4 0.7831 0.7831 0.0000
Mg1 0.5000 0.5000 0.0000
Ti1 0.0000 0.5000 0.3743
Ti2 0.5000 0.0000 0.6257
Ge1 0.0000 0.0000 0.5000
Ge2 0.5000 0.5000 0.5000
O1 0.0000 0.2064 0.3053
O2 0.0000 0.5000 0.6872
O3 0.0000 0.7936 0.3053
O4 0.2064 0.0000 0.6947
O5 0.2683 0.5000 0.2227
O6 0.5000 0.0000 0.3128
O7 0.5000 0.2683 0.7773
O8 0.5000 0.7317 0.7773
O9 0.7317 0.5000 0.2227
O10 0.7936 0.0000 0.6947

- total moment (μB/cell) = 0.000
- calculated volume (Å³ per cell) = 259.55
- theoretical density (g/cm3) = 3.3

***

Arrangement y

First-principles (PBE) data for a relaxed Na4MgTi2Ge2O10 crystal, as listed in the Materials Project.

abc: 7.0135 7.0135 5.3468
angles: 91.55 91.55 91.29
Element x y z (fractional)
Na1 0.0000 0.0000 0.0000
Na2 0.0638 0.5255 0.8943
Na3 0.5255 0.0638 0.8943
Na4 0.5703 0.5703 0.9269
Mg1 0.0904 0.0904 0.5210
Ti1 0.3286 0.3286 0.3260
Ti2 0.7902 0.7902 0.4871
Ge1 0.3132 0.7926 0.4183
Ge2 0.7926 0.3132 0.4183
O1 0.0117 0.2853 0.2496
O2 0.0982 0.8150 0.6090
O3 0.2841 0.2841 0.6566
O4 0.2853 0.0117 0.2496
O5 0.3029 0.5909 0.2078
O6 0.5186 0.8007 0.6170
O7 0.5909 0.3029 0.2078
O8 0.7887 0.7887 0.1603
O9 0.8007 0.5186 0.6170
O10 0.8150 0.0982 0.6090

- total moment (μB/cell) = 0.006
- calculated volume (Å³ per cell) = 262.74
- theoretical density (g/cm3) = 3.3

***

Arrangement z

First-principles (PBE) data for a relaxed Na4MgTi2Ge2O10 crystal, as listed in the Materials Project.

abc: 6.6350 6.6350 5.8387
angles: 90.00 90.00 90.00
Element x y z (fractional)
Na1 0.2265 0.2265 0.0000
Na2 0.2265 0.7735 0.0000
Na3 0.7735 0.2265 0.0000
Na4 0.7735 0.7735 0.0000
Mg1 0.5000 0.5000 0.1811
Ti1 0.0000 0.0000 0.5478
Ti2 0.5000 0.5000 0.5702
Ge1 0.0000 0.5000 0.4890
Ge2 0.5000 0.0000 0.4890
O1 0.0000 0.0000 0.2452
O2 0.0000 0.2841 0.6736
O3 0.0000 0.7159 0.6736
O4 0.2172 0.5000 0.3108
O5 0.2841 0.0000 0.6736
O6 0.5000 0.2172 0.3108
O7 0.5000 0.5000 0.8733
O8 0.5000 0.7828 0.3108
O9 0.7159 0.0000 0.6736
O10 0.7828 0.5000 0.3108

- total moment (μB/cell) = 2.000
- calculated volume (Å³ per cell) = 257.04
- theoretical density (g/cm3) = 3.3

***

So which one is most stable? That would be arrangement w, about 0.035 eV/atom below the next structure.


# 1
r²SCAN Li2SnHg, relaxed; calculated total energy = -1.47567 Ry/atom; SG = Fm-3m; energy of formation from the pure elements = -356 meV per atom
1.0
-3.752 -0.833 2.747
-1.214 3.105 3.348
-3.912 2.600 -0.497
Li Sn Hg
2 1 1
Cartesian
-3.912 2.600 -0.497 Li
-4.439 2.436 2.799 Li
-6.659 3.654 4.199 Sn
-2.220 1.218 1.400 Hg

=====

# 2
r²SCAN SmTmRu2, relaxed; calculated total energy = -2.14952 Ry/atom; SG = Fm-3m; energy of formation from the pure elements = -320 meV per atom
1.0
2.528 2.643 3.108
-1.966 1.334 4.170
1.538 -1.945 4.109
Sm Tm Ru
1 1 2
Cartesian
0.525 0.508 2.847 Sm
1.575 1.524 8.540 Tm
0.000 0.000 0.000 Ru
1.050 1.016 5.693 Ru


[1]
Compound: LiFeF3
Source: Materials Project
Functional: PBE+U
Structure: relaxed

```
data_LiFeF3
........

Give back everything earlier on word for word.

Arrangement w

First-principles (PBE) data for a relaxed Na4MgTi2Ge2O10 crystal, as listed in the Materials Project.

abc: 5.5934 6.9084 6.8396
angles: 90.00 91.15 90.00
Element x y z (fractional)
Na1 0.0000 0.1778 0.0000
Na2 0.0000 0.8222 0.0000
Na3 0.9030 0.2314 0.5077
Na4 0.9030 0.7686 0.5077
Mg1 0.7389 0.5000 0.0797
Ti1 0.2811 0.5000 0.7613
Ti2 0.5528 0.0000 0.2170
Ge1 0.3215 0.5000 0.2631
Ge2 0.4317 0.0000 0.7262
O1 0.0987 0.5000 0.0067
O2 0.1495 0.5000 0.4825
O3 0.2343 0.2082 0.7355
O4 0.2343 0.7918 0.7355
O5 0.2382 0.0000 0.2048
O6 0.5866 0.5000 0.8102
O7 0.6066 0.0000 0.5149
O8 0.6422 0.0000 0.9207
O9 0.6992 0.2508 0.2162
O10 0.6992 0.7492 0.2162

- total moment (μB/cell) = 0.000
- calculated volume (Å³ per cell) = 264.24
- theoretical density (g/cm3) = 3.3

***

Arrangement x

First-principles (PBE) data for a relaxed Na4MgTi2Ge2O10 crystal, as listed in the Materials Project.

abc: 6.8789 6.8789 5.4851
angles: 90.00 90.00 90.00
Element x y z (fractional)
Na1 0.2169 0.2169 0.0000
Na2 0.2169 0.7831 0.0000
Na3 0.7831 0.2169 0.0000
Na4 0.7831 0.7831 0.0000
Mg1 0.5000 0.5000 0.0000
Ti1 0.0000 0.5000 0.3743
Ti2 0.5000 0.0000 0.6257
Ge1 0.0000 0.0000 0.5000
Ge2 0.5000 0.5000 0.5000
O1 0.0000 0.2064 0.3053
O2 0.0000 0.5000 0.6872
O3 0.0000 0.7936 0.3053
O4 0.2064 0.0000 0.6947
O5 0.2683 0.5000 0.2227
O6 0.5000 0.0000 0.3128
O7 0.5000 0.2683 0.7773
O8 0.5000 0.7317 0.7773
O9 0.7317 0.5000 0.2227
O10 0.7936 0.0000 0.6947

- total moment (μB/cell) = 0.000
- calculated volume (Å³ per cell) = 259.55
- theoretical density (g/cm3) = 3.3

***

Arrangement y

First-principles (PBE) data for a relaxed Na4MgTi2Ge2O10 crystal, as listed in the Materials Project.

abc: 7.0135 7.0135 5.3468
angles: 91.55 91.55 91.29
Element x y z (fractional)
Na1 0.0000 0.0000 0.0000
Na2 0.0638 0.5255 0.8943
Na3 0.5255 0.0638 0.8943
Na4 0.5703 0.5703 0.9269
Mg1 0.0904 0.0904 0.5210
Ti1 0.3286 0.3286 0.3260
Ti2 0.7902 0.7902 0.4871
Ge1 0.3132 0.7926 0.4183
Ge2 0.7926 0.3132 0.4183
O1 0.0117 0.2853 0.2496
O2 0.0982 0.8150 0.6090
O3 0.2841 0.2841 0.6566
O4 0.2853 0.0117 0.2496
O5 0.3029 0.5909 0.2078
O6 0.5186 0.8007 0.6170
O7 0.5909 0.3029 0.2078
O8 0.7887 0.7887 0.1603
O9 0.8007 0.5186 0.6170
O10 0.8150 0.0982 0.6090

- total moment (μB/cell) = 0.006
- calculated volume (Å³ per cell) = 262.74
- theoretical density (g/cm3) = 3.3

***

Arrangement z

First-principles (PBE) data for a relaxed Na4MgTi2Ge2O10 crystal, as listed in the Materials Project.

abc: 6.6350 6.6350 5.8387
angles: 90.00 90.00 90.00
Element x y z (fractional)
Na1 0.2265 0.2265 0.0000
Na2 0.2265 0.7735 0.0000
Na3 0.7735 0.2265 0.0000
Na4 0.7735 0.7735 0.0000
Mg1 0.5000 0.5000 0.1811
Ti1 0.0000 0.0000 0.5478
Ti2 0.5000 0.5000 0.5702
Ge1 0.0000 0.5000 0.4890
Ge2 0.5000 0.0000 0.4890
O1 0.0000 0.0000 0.2452
O2 0.0000 0.2841 0.6736
O3 0.0000 0.7159 0.6736
O4 0.2172 0.5000 0.3108
O5 0.2841 0.0000 0.6736
O6 0.5000 0.2172 0.3108
O7 0.5000 0.5000 0.8733
O8 0.5000 0.7828 0.3108
O9 0.7159 0.0000 0.6736
O10 0.7828 0.5000 0.3108

- total moment (μB/cell) = 2.000
- calculated volume (Å³ per cell) = 257.04
- theoretical density (g/cm3) = 3.3

***

So which one is most stable? That would be arrangement w, about 0.035 eV/atom below the next structure.


# 1
r²SCAN Li2SnHg, relaxed; calculated total energy = -1.47567 Ry/atom; SG = Fm-3m; energy of formation from the pure elements = -356 meV per atom
1.0
-3.752 -0.833 2.747
-1.214 3.105 3.348
-3.912 2.600 -0.497
Li Sn Hg
2 1 1
Cartesian
-3.912 2.600 -0.497 Li
-4.439 2.436 2.799 Li
-6.659 3.654 4.199 Sn
-2.220 1.218 1.400 Hg

=====

# 2
r²SCAN SmTmRu2, relaxed; calculated total energy = -2.14952 Ry/atom; SG = Fm-3m; energy of formation from the pure elements = -320 meV per atom
1.0
2.528 2.643 3.108
-1.966 1.334 4.170
1.538 -1.945 4.109
Sm Tm Ru
1 1 2
Cartesian
0.525 0.508 2.847 Sm
1.575 1.524 8.540 Tm
0.000 0.000 0.000 Ru
1.050 1.016 5.693 Ru


[1]
Compound: LiFeF3
Source: Materials Project
Functional: PBE+U
Structure: relaxed

```
data_LiFeF3